
Live odds

NickNickC opened this issue · 12 comments

Hi phillc73,

Is there a way to see inplay markets with abettor?

I have a live score scraper that I want to combine with the current live odds of a match to determine if a bet should be placed. Basically, if a bunch of scenarios with the score and the odds happen simultaneously I will get an alert from R through a text or email (in Australia we have to call betfair to place the bet so I can't automate the placing of the order).

Is it possible to get these odds in abettor or is there another way to get this?


@NickNickC Currently the package doesn't support inplay markets (well, to be honest, I've never looked at it), but it seems like a good enhancement so I will leave this open and mark it as such.

Hi guys,

I'm putting the finishing touches on an expanded listMarketCatalogue function, which will allow you to restrict the output to markets that are currently inplay. You'll hopefully see it in the coming days.

Thanks dashee87!!

This might be a stretch but can this feed also give live scores? I am scraping other websites at the moment to get live scores but it is a bit slow and I think betfair would update the fastest.

many thanks,

Hi Nick,

I've had a quick look at football and tennis and it doesn't look like it would be too hard (the event Id is pretty much all you need). However, from my experience, the betfair live scores can be very unreliable (e.g. immediately after a disallowed goal). So I'd recommend using any scraper in combination with some API calls (e.g. check if the market has moved after a goal). Anyway, I should get a basic enough scraper done in the coming days.


Hi guys,

@dashee87 I am trying to fetch inplay odds using the abettor API but I could not find it yet. Am I overlooking it?

____________
{"formula": "C3H7NOS", "method": "ωB97M-V with the def2-TZVPD basis set", "species": ["C", "C", "C", "N", "O", "S", "H", "H", "H", "H", "H", "H", "H"], "xyz": [[-0.595, -0.017, 0.477], [-0.211, 0.654, -1.703], [0.421, 0.049, -0.513], [-1.558, 0.135, 1.086], [1.002, 0.123, 2.075], [0.077, 0.483, 3.213], [0.681, 0.848, -2.351], [-0.665, 1.672, -1.554], [-1.010, -0.081, -2.031], [1.310, 0.691, -0.194], [0.616, -0.937, -0.783], [-1.200, 0.011, 2.712], [0.043, -0.631, 4.214]], "lowdin_charge": [-0.305, -0.125, -0.270, 0.096, -0.683, 0.792, 0.091, 0.098, 0.108, 0.150, 0.105, -0.042, -0.014], "relative_energy_kcal_mol": 84.42, "homo_energy_ha": -0.355, "homo_lumo_gap_ev": 10.330, "charge": 0}


C20H13ClN6O2 | ωB97M-V/def2-TZVPD

ORCA input file:
```
! wB97M-V def2-TZVPD RIJCOSX def2/J DEFGRID3
* xyz 0 1
N 2.60 -3.02 1.51
C 2.53 -1.90 1.23
C 2.49 -0.51 0.93
C 2.54 0.45 1.96
C 2.63 1.79 1.64
C 2.64 2.19 0.29
C 2.43 1.24 -0.71
C 2.36 1.76 -2.14
N 1.11 1.29 -2.75
C -0.12 1.86 -2.56
C -0.99 0.86 -2.97
C -2.46 0.93 -2.89
N -3.00 -0.15 -2.01
C -2.45 -0.33 -0.74
C -2.47 0.68 0.22
Cl -3.40 2.16 -0.06
C -1.87 0.45 1.53
O -1.69 1.36 2.33
C -1.48 -0.90 1.92
C -1.18 -1.16 3.25
C -0.83 -2.44 3.64
C -0.82 -3.46 2.70
N -1.06 -3.21 1.41
C -1.43 -1.96 1.01
C -1.88 -1.69 -0.42
O -1.81 -2.54 -1.33
N -0.25 -0.21 -3.43
N 1.00 0.07 -3.32
C 2.35 -0.10 -0.40
H 2.57 0.17 3.00
H 2.77 2.55 2.39
H 2.79 3.24 0.08
H 2.37 2.86 -2.17
H 3.20 1.46 -2.73
H -0.40 2.81 -2.11
H -2.76 1.87 -2.46
H -2.88 0.87 -3.91
H -3.17 -1.04 -2.49
H -1.17 -0.39 4.03
H -0.61 -2.62 4.68
H -0.45 -4.42 3.03
H 2.25 -0.87 -1.16
*
```

Summary:
* maximum force: 3.35 eV/A
* SMILES: N#Cc1cccc(Cn2cc(CNC3=C(Cl)C(=O)c4cccnc4C3=O)nn2)c1
* E_tot: -1709.10113 hartree
* Kohn-Sham gap: 7.6 eV
* HOMO: -9.12 eV
* relative energy (zero: lowest compared OMol25 entry of this formula, charge and spin): 0.0 kJ/mol

Löwdin population analysis, charges in e, atoms 1 to 4:
1 N 0.175
2 C -0.182
3 C -0.214
4 C -0.024


This record from the Open Molecules 2025 dataset describes a molecular structure, C41H63MnN3O2P3S2Te in a non-equilibrium geometry. The level of theory is ωB97M-V/def2-TZVPD.

Structure (XYZ):
```
116
Properties=species:S:1:pos:R:3
Mn 0.05 -1.17 0.86
C -3.18 -4.97 0.86
C -1.87 -4.21 0.95
C -1.23 -4.39 2.31
P -2.02 -2.40 0.56
C -3.08 -2.34 -0.95
C -2.45 -2.96 -2.15
C -3.54 -0.91 -1.17
C -3.03 -1.72 1.85
C -4.35 -2.12 2.04
C -5.08 -1.56 3.07
C -4.44 -0.66 3.89
C -3.13 -0.27 3.70
C -2.37 -0.74 2.63
N -1.08 -0.39 2.32
C -0.55 0.80 2.82
C -1.30 1.95 3.23
C -0.69 3.06 3.78
C 0.69 3.04 4.00
C 1.42 2.00 3.52
C 0.84 0.84 2.97
P 1.69 -0.63 2.51
C 1.88 -1.32 4.23
C 2.85 -2.52 4.32
C 0.56 -1.58 4.90
C 3.37 -0.17 1.95
C 3.28 0.85 0.81
C 4.17 -1.42 1.47
H -3.02 -6.00 1.25
H -3.61 -5.01 -0.14
H -3.97 -4.57 1.49
H -1.21 -4.74 0.23
H -0.22 -3.97 2.32
H -1.17 -5.45 2.56
H -1.85 -3.97 3.12
H -4.00 -2.90 -0.75
H -1.43 -2.63 -2.32
H -3.06 -2.83 -3.06
H -2.31 -4.03 -1.96
H -2.67 -0.23 -1.29
H -4.18 -0.52 -0.40
H -4.12 -0.90 -2.10
____________
The entry goes on =

Have a look at the listMarketCatalogue() function.

From the documentation:

#' @param turnInPlayEnabled Boolean. Restrict to markets that will turn in play
#'   if TRUE or will not turn in play if FALSE. Optional. Default is NULL, which
#'   means that both market types are returned.
#' @param inPlayOnly Boolean. Restrict to markets that are currently in play if
#'   TRUE or not inplay if FALSE. Optional. Default is NULL, which means that
#'   both inplay and non-inplay markets are returned.
#' # Return market catalogues for all football matches currently inplay,
#' restricted to Match Odds market types and sorted by the amount traded.
#' listMarketCatalogue(eventTypeIds = c("1"),marketTypeCodes = c("MATCH_ODDS"),
#'                    inPlayOnly = TRUE, MarketSort = "MAXIMUM_TRADED")
#' }

I hope that helps.

Please do report back if it worked for you!

Hi Phil, thanks for your quick reply.

It does not seem to work. If I want to list inplay tennis matches I do:

 listMarketCatalogue(eventTypeIds = c("2"), marketTypeCodes = c("MATCH_ODDS"), inPlayOnly =    TRUE, marketSort = "MAXIMUM_TRADED")

It returns:

data frame with 0 columns and 0 rows

While there are currently matches inplay. Any thoughts where this goes wrong?

Sorry, not immediately. I will try to have a look as soon as I can, most likely over the weekend.

Sweet thanks!

Hi @marcvanderpeet12

You'll have to check this yourself, but I suspect the issue is with the fromDate parameter. Its default is two hours (as in, it only returns events that were scheduled to start at most two hours ago). When I set this value, I had football in mind. But it probably needs to be bigger for other sports (e.g. tennis and cricket). Hopefully, this will solve your problems. If not, let me know.

listMarketCatalogue(eventTypeIds = c("2"), marketTypeCodes = c("MATCH_ODDS"), inPlayOnly = TRUE, marketSort = "MAXIMUM_TRADED",fromDate = (format(Sys.time()-7200*10, "%Y-%m-%dT%TZ")))

Works like a charm! Thanks for the quick reply guys and big thumbs up for the package!

Good news! @marcvanderpeet12 please do submit any improvement suggestions. Thanks for the quick response @dashee87. I think I'm also going to close this open issue now.